********
# 1
# Er3Ga9Cu2
Calculated X-ray diffraction stick pattern, Cu Ka. Input: a GGA-PBE-relaxed structure.
Intensities are scaled so that the largest is 100.

Structure:
Cell: 8.1124 8.1124 8.1124 Å, 150.22 103.80 83.88°
Atoms (fractional coordinates):
Er 0.0000 0.0000 0.0000
Er 0.3190 0.3190 0.0000
Er 0.6810 0.6810 0.0000
Ga 0.0348 0.6615 0.3733
Ga 0.1464 0.8691 0.2773
Ga 0.2882 0.6615 0.6267
Ga 0.4081 0.1309 0.2773
Ga 0.5000 0.0000 0.5000
Ga 0.5919 0.8691 0.7227
Ga 0.7118 0.3385 0.3733
Ga 0.8536 0.1309 0.7227
Ga 0.9652 0.3385 0.6267
Cu 0.2839 0.5000 0.7839
Cu 0.7161 0.5000 0.2161

The 10 most intense peaks (2θ from 15° to 90°), in order of falling intensity:
| 2theta | d/Å | I/Imax |
| --- | --- | --- |
| 35.84 | 2.506 | 100 |
| 43.39 | 2.085 | 34 |
| 34.42 | 2.605 | 31 |
| 34.93 | 2.568 | 21 |
| 64.41 | 1.446 | 21 |
| 30.89 | 2.895 | 19 |
| 45.07 | 2.011 | 15 |
| 70.03 | 1.344 | 12 |
| 45.99 | 1.973 | 10 |
| 56.89 | 1.619 | 10 |

=====

# 2
# BaCaHf
Calculated X-ray diffraction stick pattern, Cu Ka. Input: a GGA-PBE-relaxed structure.
Intensities are scaled so that the largest is 100.

Structure:
Cell: 3.7186 4.0812 15.4783 Å, 90.00 90.03 90.00°
Atoms (fractional coordinates):
Ba 0.0000 0.0000 0.0000
Ba 0.0023 0.0000 0.4139
Ca 0.5002 0.5000 0.2035
Ca 0.5037 0.5000 0.7896
Hf 0.0041 0.0000 0.6517
Hf 0.5038 0.5000 0.5727

The 10 most intense peaks (2θ from 15° to 90°), in order of falling intensity:
| 2theta | d/Å | I/Imax |
| --- | --- | --- |
| 32.58 | 2.749 | 100 |
| 27.87 | 3.201 | 69 |
| 29.61 | 3.017 | 59 |
| 44.06 | 2.055 | 35 |
| 31.87 | 2.808 | 33 |
| 33.42 | 2.681 | 29 |
| 28.84 | 3.096 | 28 |
| 33.10 | 2.706 | 28 |
| 17.19 | 5.159 | 24 |
| 54.27 | 1.690 | 23 |

=====

# 3
# AgS3O9
Calculated X-ray diffraction stick pattern, Cu Ka. Input: a GGA-PBE-relaxed structure.
Intensities are scaled so that the largest is 100.

Structure:
Cell: 7.3098 7.3098 7.8294 Å, 90.00 90.00 101.73°
Atoms (fractional coordinates):
Ag 0.1403 0.1403 0.0000
Ag 0.8597 0.8597 0.5000
S 0.2266 0.2266 0.5000
S 0.3064 0.6585 0.5513
S 0.3415 0.6936 0.9487
S 0.6585 0.3064 0.4487
S 0.6936 0.3415 0.0513
S 0.7734 0.7734 0.0000
O 0.1021 0.1861 0.6460
O 0.1358 0.7276 0.5652
O 0.1861 0.1021 0.3540
O 0.2304 0.4240 0.4237
O 0.2407 0.5382 0.0457
O 0.2724 0.8642 0.9348
O 0.3835 0.6165 0.7500
O 0.4240 0.2304 0.5763
O 0.4618 0.7593 0.4543
O 0.5382 0.2407 0.9543
O 0.5760 0.7696 0.0763
O 0.6165 0.3835 0.2500
O 0.7276 0.1358 0.4348
O 0.7593 0.4618 0.5457
O 0.7696 0.5760 0.9237
O 0.8139 0.8979 0.8540
O 0.8642 0.2724 0.0652
O 0.8979 0.8139 0.1460

The 10 most intense peaks (2θ from 15° to 90°), in order of falling intensity:
| 2theta | d/Å | I/Imax |
| --- | --- | --- |
| 22.71 | 3.915 | 100 |
| 25.47 | 3.498 | 73 |
| 15.63 | 5.670 | 45 |
| 24.88 | 3.579 | 42 |
| 22.37 | 3.975 | 40 |
| 30.10 | 2.969 | 32 |
| 34.38 | 2.608 | 32 |
| 32.25 | 2.776 | 30 |
| 27.40 | 3.255 | 25 |
| 33.94 | 2.641 | 24 |

=====

Copy entry 1 word for word.
# Er3Ga9Cu2
Calculated X-ray diffraction stick pattern, Cu Ka. Input: a GGA-PBE-relaxed structure.
Intensities are scaled so that the largest is 100.

Structure:
Cell: 8.1124 8.1124 8.1124 Å, 150.22 103.80 83.88°
Atoms (fractional coordinates):
Er 0.0000 0.0000 0.0000
Er 0.3190 0.3190 0.0000
Er 0.6810 0.6810 0.0000
Ga 0.0348 0.6615 0.3733
Ga 0.1464 0.8691 0.2773
Ga 0.2882 0.6615 0.6267
Ga 0.4081 0.1309 0.2773
Ga 0.5000 0.0000 0.5000
Ga 0.5919 0.8691 0.7227
Ga 0.7118 0.3385 0.3733
Ga 0.8536 0.1309 0.7227
Ga 0.9652 0.3385 0.6267
Cu 0.2839 0.5000 0.7839
Cu 0.7161 0.5000 0.2161

The 10 most intense peaks (2θ from 15° to 90°), in order of falling intensity:
| 2theta | d/Å | I/Imax |
| --- | --- | --- |
| 35.84 | 2.506 | 100 |
| 43.39 | 2.085 | 34 |
********

Could you echo all of the listing above without additions?

# 1
# Er3Ga9Cu2
Calculated X-ray diffraction stick pattern, Cu Ka. Input: a GGA-PBE-relaxed structure.
Intensities are scaled so that the largest is 100.

Structure:
Cell: 8.1124 8.1124 8.1124 Å, 150.22 103.80 83.88°
Atoms (fractional coordinates):
Er 0.0000 0.0000 0.0000
Er 0.3190 0.3190 0.0000
Er 0.6810 0.6810 0.0000
Ga 0.0348 0.6615 0.3733
Ga 0.1464 0.8691 0.2773
Ga 0.2882 0.6615 0.6267
Ga 0.4081 0.1309 0.2773
Ga 0.5000 0.0000 0.5000
Ga 0.5919 0.8691 0.7227
Ga 0.7118 0.3385 0.3733
Ga 0.8536 0.1309 0.7227
Ga 0.9652 0.3385 0.6267
Cu 0.2839 0.5000 0.7839
Cu 0.7161 0.5000 0.2161

The 10 most intense peaks (2θ from 15° to 90°), in order of falling intensity:
| 2theta | d/Å | I/Imax |
| --- | --- | --- |
| 35.84 | 2.506 | 100 |
| 43.39 | 2.085 | 34 |
| 34.42 | 2.605 | 31 |
| 34.93 | 2.568 | 21 |
| 64.41 | 1.446 | 21 |
| 30.89 | 2.895 | 19 |
| 45.07 | 2.011 | 15 |
| 70.03 | 1.344 | 12 |
| 45.99 | 1.973 | 10 |
| 56.89 | 1.619 | 10 |

=====

# 2
# BaCaHf
Calculated X-ray diffraction stick pattern, Cu Ka. Input: a GGA-PBE-relaxed structure.
Intensities are scaled so that the largest is 100.

Structure:
Cell: 3.7186 4.0812 15.4783 Å, 90.00 90.03 90.00°
Atoms (fractional coordinates):
Ba 0.0000 0.0000 0.0000
Ba 0.0023 0.0000 0.4139
Ca 0.5002 0.5000 0.2035
Ca 0.5037 0.5000 0.7896
Hf 0.0041 0.0000 0.6517
Hf 0.5038 0.5000 0.5727

The 10 most intense peaks (2θ from 15° to 90°), in order of falling intensity:
| 2theta | d/Å | I/Imax |
| --- | --- | --- |
| 32.58 | 2.749 | 100 |
| 27.87 | 3.201 | 69 |
| 29.61 | 3.017 | 59 |
| 44.06 | 2.055 | 35 |
| 31.87 | 2.808 | 33 |
| 33.42 | 2.681 | 29 |
| 28.84 | 3.096 | 28 |
| 33.10 | 2.706 | 28 |
| 17.19 | 5.159 | 24 |
| 54.27 | 1.690 | 23 |

=====

# 3
# AgS3O9
Calculated X-ray diffraction stick pattern, Cu Ka. Input: a GGA-PBE-relaxed structure.
Intensities are scaled so that the largest is 100.

Structure:
Cell: 7.3098 7.3098 7.8294 Å, 90.00 90.00 101.73°
Atoms (fractional coordinates):
Ag 0.1403 0.1403 0.0000
Ag 0.8597 0.8597 0.5000
S 0.2266 0.2266 0.5000
S 0.3064 0.6585 0.5513
S 0.3415 0.6936 0.9487
S 0.6585 0.3064 0.4487
S 0.6936 0.3415 0.0513
S 0.7734 0.7734 0.0000
O 0.1021 0.1861 0.6460
O 0.1358 0.7276 0.5652
O 0.1861 0.1021 0.3540
O 0.2304 0.4240 0.4237
O 0.2407 0.5382 0.0457
O 0.2724 0.8642 0.9348
O 0.3835 0.6165 0.7500
O 0.4240 0.2304 0.5763
O 0.4618 0.7593 0.4543
O 0.5382 0.2407 0.9543
O 0.5760 0.7696 0.0763
O 0.6165 0.3835 0.2500
O 0.7276 0.1358 0.4348
O 0.7593 0.4618 0.5457
O 0.7696 0.5760 0.9237
O 0.8139 0.8979 0.8540
O 0.8642 0.2724 0.0652
O 0.8979 0.8139 0.1460

The 10 most intense peaks (2θ from 15° to 90°), in order of falling intensity:
| 2theta | d/Å | I/Imax |
| --- | --- | --- |
| 22.71 | 3.915 | 100 |
| 25.47 | 3.498 | 73 |
| 15.63 | 5.670 | 45 |
| 24.88 | 3.579 | 42 |
| 22.37 | 3.975 | 40 |
| 30.10 | 2.969 | 32 |
| 34.38 | 2.608 | 32 |
| 32.25 | 2.776 | 30 |
| 27.40 | 3.255 | 25 |
| 33.94 | 2.641 | 24 |

=====

Copy entry 1 word for word.
# Er3Ga9Cu2
Calculated X-ray diffraction stick pattern, Cu Ka. Input: a GGA-PBE-relaxed structure.
Intensities are scaled so that the largest is 100.

Structure:
Cell: 8.1124 8.1124 8.1124 Å, 150.22 103.80 83.88°
Atoms (fractional coordinates):
Er 0.0000 0.0000 0.0000
Er 0.3190 0.3190 0.0000
Er 0.6810 0.6810 0.0000
Ga 0.0348 0.6615 0.3733
Ga 0.1464 0.8691 0.2773
Ga 0.2882 0.6615 0.6267
Ga 0.4081 0.1309 0.2773
Ga 0.5000 0.0000 0.5000
Ga 0.5919 0.8691 0.7227
Ga 0.7118 0.3385 0.3733
Ga 0.8536 0.1309 0.7227
Ga 0.9652 0.3385 0.6267
Cu 0.2839 0.5000 0.7839
Cu 0.7161 0.5000 0.2161

The 10 most intense peaks (2θ from 15° to 90°), in order of falling intensity:
| 2theta | d/Å | I/Imax |
| --- | --- | --- |
| 35.84 | 2.506 | 100 |
| 43.39 | 2.085 | 34 |